Assignment:
The reader should filter the rows further down: keep the lines with the word "Frontier".

Data:
┌──
No. 1
# C17H13F3N4O5ReSSbSe4

A molecular structure, C17H13F3N4O5ReSSbSe4 in a non-equilibrium geometry (ωB97M-V/def2-TZVPD, the OMol25 dataset).

The geometry in XYZ format:
```
49
Properties=species:S:1:pos:R:3:forces:R:3
Re 0.84796 1.01226 -0.20105 0.0 0.0 2.3
O 1.34361 6.96347 1.29989 0.6 -0.5 -1.1
C 1.30384 5.67285 0.91046 -0.8 1.5 0.3
C 2.31741 5.01899 0.21381 -0.4 0.0 0.6
C 2.10663 3.67295 0.03953 -0.7 -2.1 0.7
N 0.95644 3.00965 0.39990 0.7 2.2 -1.0
C -0.08140 3.71852 0.93983 0.6 -1.8 0.2
C 0.09488 5.03254 1.25485 -0.8 -0.4 0.0
C -1.17775 2.67517 1.33192 0.8 0.9 -0.4
O -2.34594 2.94367 1.81737 0.4 0.0 -0.5
O -0.82159 1.49070 1.18801 0.0 -0.5 -0.2
C 3.20143 2.65546 -0.35020 -3.8 -0.6 0.5
O 4.23221 3.02178 -0.70387 3.3 0.4 -0.9
O 2.76556 1.34512 -0.22833 0.2 0.6 -0.2
H 2.00136 7.47199 0.77219 -0.3 -0.4 0.7
H 3.23240 5.55387 -0.02195 0.0 -0.5 -0.2
H -0.75696 5.54735 1.68481 0.7 0.4 0.1
C -2.71784 -1.17678 -0.75726 0.7 -1.0 0.1
N -2.34301 -2.56733 -1.00505 -0.2 1.1 -0.5
C -3.07843 -3.68013 -0.60842 0.4 0.6 0.6
C -2.38573 -4.75579 -1.07009 -0.8 3.6 -1.0
N -1.43474 -4.22492 -1.96015 0.5 -2.3 1.1
C -1.32174 -2.91579 -1.80649 -0.6 0.6 -0.4
S -0.16910 -1.93829 -2.60433 0.0 0.0 -0.2
H -2.87150 -0.60654 -1.64563 -0.7 -0.1 -1.0
H -1.88783 -0.66248 -0.32462 0.3 0.1 0.9
H -3.56262 -1.22562 -0.11540 -0.7 0.5 0.5
H -4.00878 -3.47064 -0.03871 1.0 -0.8 -0.4
H -2.66652 -5.72513 -0.98499 -0.3 -2.8 -0.1
H -0.80941 -4.82169 -2.49003 0.1 0.4 0.1
F 2.32295 -5.88287 -0.34214 -0.3 0.0 0.5
C 2.49016 -5.24436 0.83246 0.6 1.7 -0.5
F 3.79376 -5.30927 1.13479 0.0 0.2 -0.3
F 1.85477 -5.81887 1.80797 -1.1 -1.0 0.6
C 2.03275 -3.75522 0.68940 -0.2 -0.2 0.3
C 0.77634 -3.25730 1.14362 2.0 -0.7 -0.6
C 0.53899 -1.94031 0.85326 -2.3 1.4 0.3
N 1.39903 -1.11207 0.23114 -0.8 0.7 -0.3
C 2.55886 -1.60414 -0.18977 0.9 0.9 -0.1
C 2.93277 -2.90429 0.05690 -1.4 -0.7 -0.2
H 0.09330 -3.88310 1.69494 -0.2 0.0 -0.1
H -0.47215 -1.45777 1.06079 1.5 -0.8 0.1
H 3.20904 -0.88660 -0.70264 -0.2 -0.5 0.2
H 3.77537 -3.34831 -0.40751 1.0 0.0 -0.1
Se -5.85708 2.56043 0.21496 -0.4 -0.3 0.0
Sb -4.51396 4.31050 -0.41249 -0.2 -0.7 0.1
Se -0.27382 0.63336 -2.02529 0.4 -0.2 -0.6
Se -3.53267 5.18142 -2.27428 0.3 0.5 -0.6
Se -3.09123 4.68358 1.69786 0.1 0.2 0.8
```
Positions in Å, forces in eV/Å.

Summary:
Calculated total energy (hartree): -11872.34059
E_HOMO (eV): -13.79
Net charge: +2
Largest force on an atom (eV/Å): 3.87
Frontier orbital gap (Ha): 0.2229

Mulliken atomic charge list, values in e, 2 entries: 1.08 -0.47

***

No. 2
# C25H45CaFN3O3Se4Si4

A molecular structure, C25H45CaFN3O3Se4Si4 in a non-equilibrium geometry (ωB97M-V/def2-TZVPD, the OMol25 dataset).

The geometry in XYZ format:
```
86
Properties=species:S:1:pos:R:3:forces:R:3
Ca -3.14410 -2.40548 -0.61125 -0.9 -2.3 2.6
Se -4.08666 -1.76897 2.17932 -0.1 0.2 -0.1
Se -4.42856 -4.00242 2.77654 0.0 -0.1 0.0
Se -5.63300 -4.93872 1.01370 -0.1 0.1 0.0
Se -4.08860 -5.15508 -0.72940 0.0 -0.1 -0.1
C -0.95463 3.89563 -4.53449 0.0 0.0 0.0
C -0.02256 2.79301 -4.04649 -0.1 0.0 0.1
N -0.60236 1.99117 -2.97432 0.1 0.1 -0.2
C -1.27860 0.82981 -3.31757 0.1 0.1 0.0
C -1.81367 -0.00328 -2.41958 -0.1 -0.1 0.0
C -2.56554 -1.31413 -2.59017 0.2 0.5 -1.0
O -3.81941 -1.25384 -2.53318 0.4 0.4 -0.2
O -1.88756 -2.35057 -2.42400 0.3 0.4 -1.2
C -1.64822 0.27349 -1.00675 0.3 0.8 -1.0
O -1.98341 -0.51598 -0.15106 -0.2 0.0 1.1
C -1.04618 1.55530 -0.66189 -0.1 0.0 -0.7
C -0.92361 1.88353 0.66509 -0.1 0.1 0.6
C -0.33977 3.06725 1.01281 0.0 0.0 0.1
F -0.23599 3.34343 2.34024 0.1 0.4 0.2
C 0.14947 3.96587 0.06196 0.1 -0.1 0.3
C 0.05949 3.60443 -1.26704 0.1 -0.2 -0.5
C -0.53376 2.39609 -1.65990 0.0 0.1 0.0
N 0.73060 5.24566 0.33833 -0.1 0.3 0.4
C 0.00235 6.38142 -0.20364 0.1 -0.2 0.2
C -1.07837 6.85981 0.75319 0.1 0.0 0.1
N -0.38120 7.30773 2.01738 0.0 -0.2 -0.1
C 0.39594 6.17770 2.65694 0.0 0.0 -0.2
C 1.34268 5.56837 1.62260 -0.1 -0.1 -0.3
H -0.49073 4.45539 -5.34967 0.0 0.0 0.0
H -1.19669 4.59332 -3.72760 0.0 0.0 -0.1
H -1.89198 3.46816 -4.89704 0.1 0.0 0.0
└──

Result:
Frontier orbital gap (Ha): 0.2229